# Er2Ga9Ru3 PBE-GGA optimized geometry
data_Er2Ga9Ru3
_chemical_formula_sum 'Er8 Ga36 Ru12'
_symmetry_space_group_name_H-M 'C m c m'
_symmetry_Int_Tables_number 63
_symmetry_space_group_name_Hall '-C 2c 2'
_cell_length_a 12.908
_cell_length_b 7.525
_cell_length_c 9.694
_cell_angle_alpha 90.00
_cell_angle_beta 90.00
_cell_angle_gamma 90.00
loop_
_atom_site_label
_atom_site_type_symbol
_atom_site_fract_x
_atom_site_fract_y
_atom_site_fract_z
_atom_site_occupancy
Er1 Er 0.164 0.167 0.250 1
Ga1 Ga 0.000 0.125 0.750 1
Ga2 Ga 0.000 0.337 0.060 1
Ga3 Ga 0.106 0.442 0.750 1
Ga4 Ga 0.165 0.170 0.576 1
Ru1 Ru 0.000 0.000 0.000 1
Ru2 Ru 0.174 0.500 0.000 1
# * formation enthalpy at 0 K: -0.53 eV per atom
# * DFT total energy: -5.12 eV per atom

Please transcribe the block further above from the line with "_cell_length_a 12.908" to the end unchanged.

_cell_length_a 12.908
_cell_length_b 7.525
_cell_length_c 9.694
_cell_angle_alpha 90.00
_cell_angle_beta 90.00
_cell_angle_gamma 90.00
loop_
_atom_site_label
_atom_site_type_symbol
_atom_site_fract_x
_atom_site_fract_y
_atom_site_fract_z
_atom_site_occupancy
Er1 Er 0.164 0.167 0.250 1
Ga1 Ga 0.000 0.125 0.750 1
Ga2 Ga 0.000 0.337 0.060 1
Ga3 Ga 0.106 0.442 0.750 1
Ga4 Ga 0.165 0.170 0.576 1
Ru1 Ru 0.000 0.000 0.000 1
Ru2 Ru 0.174 0.500 0.000 1
# * formation enthalpy at 0 K: -0.53 eV per atom
# * DFT total energy: -5.12 eV per atom